Assignment:
What is needed: copy the contents further down from the line with "8.649, 8.649," to the end character by character.
Excerpt:
Computed, not measured: a geometry-optimized KPmTe2O8 structure at the PBE-GGA level of DFT.

a = 6.0751 Å, b = 6.0751 Å, c = 7.7735 Å
α = 90.00°, β = 90.00°, γ = 120.00°
Space group P-3 (No. 147)
Unique sites:
K 0.0000 0.0000 0.0000 [1 per cell]
Pm 0.0000 0.0000 0.5000 [1 per cell]
Te 0.3333 0.6667 0.7758 [2 per cell]
O 0.1651 0.3390 0.6911 [6 per cell]
O 0.3333 0.6667 0.0099 [2 per cell]

Summary:
**Calculated density**: 3.8 g/cm3
**Formation energy (no corrections)**: -1.555 eV/atom

~~~~~

Entry from Alexandria: crystalline Hf2MnZn2 at its relaxed geometry (PBE).

D(E_F), states/eV per atom: 0.778
Total energy, eV/cell: -30.69
ΔE to the lowest computed polymorph, meV per atom: 104
Formation enthalpy at 0 K, meV/atom: 186

Cell lengths 8.649, 8.649, 8.649 Å; angles 158.09, 158.09, 31.18 degrees
Positions (direct):
Hf  0.090  0.090  0.000
Hf  0.910  0.910  0.000
Mn  0.500  0.500  0.000
Zn  0.250  0.750  0.500
Zn  0.750  0.250  0.500



Entry from Alexandria: crystalline TmZr2Be at its relaxed geometry (PBE).

D(E_F), states/eV per atom: 1.230
Total energy, eV/cell: -25.03
Formation enthalpy at 0 K, meV/atom: 65

Cell lengths 3.148, 3.148, 8.439 Å; angles 90.00, 90.00, 90.00 degrees
Positions (direct):
Tm  0.000  0.000  0.000
Zr  0.500  0.500  0.307
Zr  0.500  0.500  0.693
Be  0.000  0.000  0.500



Entry from Alexandria: crystalline V4B4W at its relaxed geometry (PBE).

D(E_F), states/eV per atom: 0.446
Total energy, eV/cell: -155.94
Formation enthalpy at 0 K, meV/atom: -204

Cell lengths 6.744, 6.744, 4.296 Å; angles 90.00, 90.00, 90.00 degrees
Positions (direct):
V  0.068  0.659  0.117
V  0.159  0.932  0.617
V  0.341  0.568  0.617
V  0.432  0.841  0.117
V  0.568  0.159  0.883
V  0.659  0.432  0.383
V  0.841  0.068  0.383
V  0.932  0.341  0.883
B  0.026  0.609  0.612
B  0.109  0.974  0.112
B  0.391  0.526  0.112
B  0.474  0.891  0.612
B  0.526  0.109  0.388
B  0.609  0.474  0.888
B  0.891  0.026  0.888
B  0.974  0.391  0.388
W  0.250  0.250  0.250
W  0.750  0.750  0.750



Entry from Alexandria: crystalline La2TmTl4 at its relaxed geometry (PBE).

D(E_F), states/eV per atom: 1.743
Total energy, eV/cell: -23.42
ΔE to the lowest computed polymorph, meV per atom: 311
Formation enthalpy at 0 K, meV/atom: 53

Cell lengths 9.148, 9.148, 9.148 Å; angles 144.04, 144.04, 51.76 degrees
Positions (direct):
La  0.116  0.116  0.000
La  0.884  0.884  0.000
Tm  0.500  0.500  0.000
Tl  0.000  0.500  0.500
Tl  0.315  0.315  0.000
Tl  0.500  0.000  0.500
Tl  0.685  0.685  0.000



Entry from Alexandria: crystalline DyErRuPt at its relaxed geometry (PBE).

D(E_F), states/eV per atom: 0.526
Total energy, eV/cell: -27.75
ΔE to the lowest computed polymorph, meV per atom: 47
Formation enthalpy at 0 K, meV/atom: -817

Cell lengths 4.847, 4.847, 4.847 Å; angles 60.00, 60.00, 60.00 degrees
Positions (direct):
Dy  0.000  0.000  0.000
Er  0.500  0.500  0.500
Ru  0.750  0.750  0.750
Pt  0.250  0.250  0.250



Entry from Alexandria: crystalline Na2MgBrCl at its relaxed geometry (PBE).

D(E_F), states/eV per atom: 0.188
Formation energy (no corrections), meV per atom: -664.8
Total energy, eV/cell: -11.08

Cell lengths 5.100, 5.100, 6.936 Å; angles 90.00, 90.00, 90.00 degrees
Positions (direct):
Na  0.000  0.500  0.000
Na  0.500  0.000  0.000
Mg  0.000  0.000  0.500
Br  0.500  0.500  0.500
Cl  0.500  0.500  0.000

~~~~~

A plane-wave DFT calculation with GGA-PBEsol was carried out for Y4TlTc after structural relaxation.

abc: 5.9507 5.9507 5.9507
angles: 60.00 60.00 60.00
Last column: magnetic moment on the atom in μB.
Element x y z (fractional)
Tc (0.7500, 0.7500, 0.7500)  0.95
Tl (0.0000, 0.0000, 0.0000)  0.00
Y (0.3764, 0.3764, 0.3764)  0.08
Y (0.3764, 0.3764, 0.8709)  0.08
Y (0.8709, 0.3764, 0.3764)  0.08
Y (0.3764, 0.8709, 0.3764)  0.08

## Properties
ΔE_f: 409 kJ/mol of formula units
calculated volume: 24.8 A^3/atom
E_tot: -6.157 eV/atom

=====

A plane-wave DFT calculation with GGA-PBEsol was carried out for Sm4Ge3S12 after structural relaxation.
Outcome:
Cell lengths 8.649, 8.649, 8.649 Å; angles 158.09, 158.09, 31.18 degrees
Positions (direct):
Hf  0.090  0.090  0.000
Hf  0.910  0.910  0.000
Mn  0.500  0.500  0.000
Zn  0.250  0.750  0.500
Zn  0.750  0.250  0.500



Entry from Alexandria: crystalline TmZr2Be at its relaxed geometry (PBE).

D(E_F), states/eV per atom: 1.230
Total energy, eV/cell: -25.03
Formation enthalpy at 0 K, meV/atom: 65

Cell lengths 3.148, 3.148, 8.439 Å; angles 90.00, 90.00, 90.00 degrees
Positions (direct):
Tm  0.000  0.000  0.000
Zr  0.500  0.500  0.307
Zr  0.500  0.500  0.693
Be  0.000  0.000  0.500



Entry from Alexandria: crystalline V4B4W at its relaxed geometry (PBE).

D(E_F), states/eV per atom: 0.446
Total energy, eV/cell: -155.94
Formation enthalpy at 0 K, meV/atom: -204

Cell lengths 6.744, 6.744, 4.296 Å; angles 90.00, 90.00, 90.00 degrees
Positions (direct):
V  0.068  0.659  0.117
V  0.159  0.932  0.617
V  0.341  0.568  0.617
V  0.432  0.841  0.117
V  0.568  0.159  0.883
V  0.659  0.432  0.383
V  0.841  0.068  0.383
V  0.932  0.341  0.883
B  0.026  0.609  0.612
B  0.109  0.974  0.112
B  0.391  0.526  0.112
B  0.474  0.891  0.612
B  0.526  0.109  0.388
B  0.609  0.474  0.888
B  0.891  0.026  0.888
B  0.974  0.391  0.388
W  0.250  0.250  0.250
W  0.750  0.750  0.750



Entry from Alexandria: crystalline La2TmTl4 at its relaxed geometry (PBE).

D(E_F), states/eV per atom: 1.743
Total energy, eV/cell: -23.42
ΔE to the lowest computed polymorph, meV per atom: 311
Formation enthalpy at 0 K, meV/atom: 53

Cell lengths 9.148, 9.148, 9.148 Å; angles 144.04, 144.04, 51.76 degrees
Positions (direct):
La  0.116  0.116  0.000
La  0.884  0.884  0.000
Tm  0.500  0.500  0.000
Tl  0.000  0.500  0.500
Tl  0.315  0.315  0.000
Tl  0.500  0.000  0.500
Tl  0.685  0.685  0.000



Entry from Alexandria: crystalline DyErRuPt at its relaxed geometry (PBE).

D(E_F), states/eV per atom: 0.526
Total energy, eV/cell: -27.75
ΔE to the lowest computed polymorph, meV per atom: 47
Formation enthalpy at 0 K, meV/atom: -817

Cell lengths 4.847, 4.847, 4.847 Å; angles 60.00, 60.00, 60.00 degrees
Positions (direct):
Dy  0.000  0.000  0.000
Er  0.500  0.500  0.500
Ru  0.750  0.750  0.750
Pt  0.250  0.250  0.250



Entry from Alexandria: crystalline Na2MgBrCl at its relaxed geometry (PBE).

D(E_F), states/eV per atom: 0.188
Formation energy (no corrections), meV per atom: -664.8
Total energy, eV/cell: -11.08

Cell lengths 5.100, 5.100, 6.936 Å; angles 90.00, 90.00, 90.00 degrees
Positions (direct):
Na  0.000  0.500  0.000
Na  0.500  0.000  0.000
Mg  0.000  0.000  0.500
Br  0.500  0.500  0.500
Cl  0.500  0.500  0.000

~~~~~

A plane-wave DFT calculation with GGA-PBEsol was carried out for Y4TlTc after structural relaxation.

abc: 5.9507 5.9507 5.9507
angles: 60.00 60.00 60.00
Last column: magnetic moment on the atom in μB.
Element x y z (fractional)
Tc (0.7500, 0.7500, 0.7500)  0.95
Tl (0.0000, 0.0000, 0.0000)  0.00
Y (0.3764, 0.3764, 0.3764)  0.08
Y (0.3764, 0.3764, 0.8709)  0.08
Y (0.8709, 0.3764, 0.3764)  0.08
Y (0.3764, 0.8709, 0.3764)  0.08

## Properties
ΔE_f: 409 kJ/mol of formula units
calculated volume: 24.8 A^3/atom
E_tot: -6.157 eV/atom

=====

A plane-wave DFT calculation with GGA-PBEsol was carried out for Sm4Ge3S12 after structural relaxation.